Title: Pro Bowl in Orlando? Post by: Phishfan on May 20, 2016, 09:36:21 am So there is no secret that Orlando wanted to bring in the Pro Bowl. It is now being reported Orlando has won the bid to bring the game here for 1-3 years depending on what you read. I personally haven't watched the game since I was a kid but I have to say it peaks my curiosity a bit if it does come here. I know we have quite a few people who live in the area or visit here what seems quite often. I'm curious if anyone in traveling distance would plan on visiting for this event? I attended the NBA All-Star game when we had it and the city put on a pretty good event but I have to admit I'm not willing to pay for the access I lucked into when that rolled around.
Title: Re: Pro Bowl in Orlando? Post by: CF DolFan on May 20, 2016, 10:04:25 am I went to the game when it was in Miami and we had a great time. I can't say watching it on tv is very entertaining but to have all those guys in one place was pretty cool. I will definitely go back now that they are having it Orlando.
Title: Re: Pro Bowl in Orlando? Post by: VidKid on May 20, 2016, 12:42:37 pm ^this
If its going to be that close, i'll definitely check it out at least once. Title: Re: Pro Bowl in Orlando? Post by: BuccaneerBrad on May 21, 2016, 07:15:49 am This is way better than Hawaii. Think about it. You have the game in a high tourist area and you'll sell tickets. Plus it will cost them way less to fly the players to Orlando as opposed to Hawaii. The players families can spend the weekend at the theme parks and so can fans who will make a weekend of it. Lots of hotels in the area to accommodate people as well. Makes prefect sense to me.
## Records of crystals from another source follow
____________
Record 1
Entry from the Materials Project: crystalline Na3InP2O8 at its relaxed geometry (GGA-PBE).

Lattice parameters (Å, degrees): 18.463 5.216 8.735 55.58 90.00 90.00
Positions (direct):
Na  0.694  0.397  0.805
Na  0.875  0.699  0.514
Na  0.375  0.301  0.986
Na  0.125  0.301  0.486
Na  0.625  0.699  0.014
Na  0.806  0.397  0.305
Na  0.306  0.603  0.195
Na  0.194  0.603  0.695
Na  0.550  0.049  0.209
Na  0.950  0.049  0.709
Na  0.450  0.951  0.791
Na  0.050  0.951  0.291
In  0.628  0.204  0.512
In  0.128  0.796  0.988
In  0.372  0.796  0.488
In  0.872  0.204  0.012
P  0.537  0.514  0.717
P  0.714  0.914  0.282
P  0.214  0.086  0.218
P  0.286  0.086  0.718
P  0.786  0.914  0.782
P  0.037  0.486  0.783
P  0.963  0.514  0.217
P  0.463  0.486  0.283
O  0.438  0.527  0.105
O  0.938  0.473  0.395
O  0.562  0.473  0.895
O  0.062  0.527  0.605
O  0.432  0.182  0.456
O  0.932  0.818  0.044
O  0.568  0.818  0.544
O  0.068  0.182  0.956
O  0.549  0.488  0.287
O  0.049  0.512  0.213
O  0.451  0.512  0.713
O  0.951  0.488  0.787
O  0.437  0.772  0.285
O  0.937  0.228  0.215
O  0.563  0.228  0.715
O  0.063  0.772  0.785
O  0.802  0.583  0.959
O  0.302  0.417  0.541
O  0.198  0.417  0.041
O  0.698  0.583  0.459
O  0.806  0.170  0.817
O  0.306  0.830  0.683
O  0.194  0.830  0.183
O  0.694  0.170  0.317
O  0.798  0.918  0.252
O  0.298  0.082  0.248
O  0.202  0.082  0.748
O  0.702  0.918  0.752
O  0.671  0.979  0.114
O  0.171  0.021  0.386
O  0.329  0.021  0.886
O  0.829  0.979  0.614

Properties
V = 12.39 Å³ per atom
Formation energy from the elements = -2552 meV/atom
Total DFT energy (no corrections) = -6.240 eV per atom
Total magnetization = 0.00 μB per cell

=====

Record 2
Entry from the Materials Project: crystalline MgTe2Mo2W2Se4S2 at its relaxed geometry (GGA-PBE).

Lattice parameters (Å, degrees): 3.338 3.337 45.464 90.00 90.00 120.00
Positions (direct):
Mg  0.000  0.000  0.378
Te  0.667  0.334  0.052
Te  0.667  0.333  0.136
Mo  0.333  0.667  0.094
Mo  0.333  0.667  0.476
W  0.667  0.334  0.274
W  0.667  0.333  0.658
Se  0.333  0.666  0.695
Se  0.667  0.333  0.438
Se  0.667  0.333  0.512
Se  0.333  0.667  0.621
S  0.333  0.667  0.307
S  0.333  0.667  0.240

Properties
V = 33.74 Å³ per atom
Formation energy from the elements = -541 meV/atom
Total DFT energy (no corrections) = -6.444 eV per atom
Total magnetization = 0.01 μB per cell

=====

> Among the records above, which one has the lowest formation energy from the elements?

Na3InP2O8

=====

> Which value of total DFT energy (no corrections) does entry 1 give?

-6.240 eV per atom

* * * * *

No. 1
Density functional theory data (PBE+U) for a relaxed Li3MnFeCoP3O12 crystal.

## Properties
Mass density in kg/m3: 3468
M_tot in μB/atom: 0.57
Energy relative to the lowest polymorph listed for this composition in meV per atom: 21
Space group: Pm (6)
Formation energy in eV per formula unit: -51.95

Lattice parameters (Å, degrees): 6.0914 10.4470 14.3102 89.90 90.00 90.00
Element x y z (fractional)
____________
Title: Re: Pro Bowl in Orlando? Post by: Dolphster on May 23, 2016, 08:40:46 am I think Orlando would be an excellent place for it for the reasons that you guys already outlined. Although I don't think it even really qualifies as a "game" the way it is played, I would still go at least once just to see so many top tier players at once. I think I would find it entertaining, just not in the same way that I would typically find a football game entertaining. Kind of like arena football. Fun to watch, but not "real football" in my opinion.
Before NFL players all started making a crap ton of money, a trip to Hawaii to play in the game was actually a pretty big deal for the guys. But now, a family vacation to Hawaii is a drop in the bucket even to the lowest paid guys on the team, much less the "stars". So you might as well move it to the mainland where it is easier for people to go watch it if they want to. Title: Re: Pro Bowl in Orlando? Post by: Dave Gray on May 23, 2016, 01:40:10 pm I just don't care about the Pro Bowl at all. They had it in Miami and I didn't go.
They did have the NFL experience, which was a little NFL festival type of thing with drills and stuff that I did attend and was fun, but the game itself...ugh. Awful. |